Denomination For Every Family
Harvey Jackson announced today the formation of Denominations Aplenty, an organization committed to the idea that we need more denominations, not fewer. Eutychus interviewed Jackson at his Broken Arrow, Oklahoma, headquarters.
Eutychus: Why more denominations, Harv?
Jackson: Every man’s religion is a personal thing between him and God. Our goal for the eighties is for every family in the United States to have its own denomination. By the year 2000, we hope to extend that to a denomination for each and every family member.
Eutychus: That seems to fly in the face of Christian unity.
Jackson: Unity is a myth. Name one good thing that ever came out of large denominations.
Eutychus: Fellowship.
Jackson: All right, name another.
Eutychus: Peace, understanding …
Jackson: You’re missing the point. Ever since the Reformation we’ve been stressing more and more the priesthood of the believer. My organization is simply carrying that to its logical conclusion.
Think of the benefits: No more denominational politics, no more fights over who controls the church, no more petty theological disputes.
Listen, Euty: If you had your own denomination you could settle things nice and peacefully between you and God. There would be no hassles about organizations. Just happy Christians.
Eutychus: What’s your plan to carry out this mission?
Jackson: We’ve put together a “Start Your Own Denomination” kit that sells for $29.95. Each kit includes a cassette tape of Jane Fonda singing “I Gotta Be Me,” a book of unregistered names for new denominations, and quickie incorporation papers for the state in which you choose to register your denomination.
Eutychus: I don’t think I can endorse your plan, Harvey.
(Data records, as found in the file)
<<<
Diffraction record for Nd4Fe4As4O3F. The PXRD pattern is theoretical, not measured: it uses a crystal structure in Alexandria, relaxed with PBE+U and copper Kα.
Peak positions follow from Bragg's law for the DFT cell and can differ from measured ones.

Structure:
```
data_Nd4Fe4As4O3F
_chemical_formula_sum 'Nd8 Fe8 As8 O6 F2'
_space_group_name_H-M_alt 'I -4 2 m'
_space_group_IT_number 121
_space_group_name_Hall 'I -4 2'
_cell_length_a 5.720
_cell_length_b 5.720
_cell_length_c 18.237
_cell_angle_alpha 90.00
_cell_angle_beta 90.00
_cell_angle_gamma 90.00
loop_
_atom_site_label
_atom_site_fract_x
_atom_site_fract_y
_atom_site_fract_z
_atom_site_occupancy
Nd1 0.239 0.239 0.431 1
Fe1 0.000 0.000 0.250 1
Fe2 0.000 0.500 0.250 1
As1 0.248 0.248 0.158 1
O1 0.000 0.000 0.500 1
O2 0.000 0.500 0.000 1
F1 0.000 0.000 0.000 1
```

Top 10 peaks for 10 to 90 degrees two-theta, sorted by position:
| 2theta | d_spacing | I_rel |
| --- | --- | --- |
| 29.52 | 3.026 | 100.0 |
| 31.28 | 2.860 | 22.2 |
| 32.82 | 2.729 | 19.9 |
| 37.00 | 2.430 | 12.7 |
| 37.11 | 2.423 | 32.2 |
| 44.82 | 2.022 | 34.5 |
| 45.69 | 1.986 | 12.1 |
| 51.25 | 1.783 | 24.9 |
| 54.58 | 1.682 | 38.3 |
| 65.25 | 1.430 | 10.6 |

----------

Li3In: simulated X-ray powder pattern (λ = 1.5418 Å (Cu Kα)), based on a crystal structure in the Materials Project, relaxed with GGA-PBE.
No peak broadening, texture or thermal motion is included.

Cell and atoms:
Lattice parameters (Å, degrees): 4.1009 4.1009 8.9432 90.00 90.00 90.00
Space group I4/mmm (No. 139)
Asymmetric unit:
Li (0.0000, 0.0000, 0.0000) (multiplicity 2)
Li (0.0000, 0.5000, 0.2500) (multiplicity 4)
In (0.0000, 0.0000, 0.5000) (multiplicity 2)

The 10 most intense peaks (2θ from 10° to 80°), most intense first:
index	d [Å]	Rel. int.
1 0 1	3.728	100
1 1 2	2.433	45
0 0 2	4.472	39
1 0 3	2.411	31
1 1 0	2.900	26
2 1 1	1.797	25
2 1 3	1.562	16
2 0 2	1.864	14
2 0 0	2.050	13
1 1 4	1.771	12

----------

Starting from a structure optimized by DFT (GGA-PBE), the XRD peak list of KUPN4 was calculated for λ = 1.5418 Å (Cu Kα).

Atomic structure:
```
data_KUPN4
_chemical_formula_sum 'K2 U2 P2 N8'
_cell_length_a 5.4693
_cell_length_b 5.5610
_cell_length_c 7.5899
_cell_angle_alpha 90.00
_cell_angle_beta 106.67
_cell_angle_gamma 90.00
_symmetry_space_group_name_H-M 'P 1 21/m 1'
_symmetry_Int_Tables_number 11
_symmetry_space_group_name_Hall '-P 2yb'
loop_
_atom_site_label
_atom_site_type_symbol
_atom_site_fract_x
_atom_site_fract_y
_atom_site_fract_z
K1 K 0.2001 0.2500 0.4331
U1 U 0.2632 0.2500 0.9534
P1 P 0.2639 0.7500 0.1585
N1 N 0.0582 0.7500 0.9454
N2 N 0.0690 0.7500 0.2863
N3 N 0.4586 0.5205 0.1704
```

Largest 6 diffraction maxima, most intense first, 2θ = 10–90°:
h k l  Position (°2θ)  I_rel
0 0 1  12.2  100
1 1 0  23.3  45
1 1 -2  30.2  22
1 1 -1  24.0  19
0 2 0  32.2  19
1 1 2  37.6  17



Starting from a structure optimized by DFT (GGA-PBE), the XRD peak list of PrGe4Ir2 was calculated for λ = 1.5418 Å (Cu Kα).

Atomic structure:
```
data_PrGe4Ir2
>>>
Jackson: Don’t worry about it. I’m only called to preach division; I can’t guarantee results.
The SDA wall
“The Wall of Adventism” by Joan Craven [Oct. 19] is, as a whole, well balanced, and should be read carefully by Adventists and others. I do not believe the Sabbath presents an insurmountable wall; the wall is lack of understanding on both sides and a lack of desire to lessen that misunderstanding. Adventists, I believe, will draw nearer to other Christians when we begin to have a better comprehension of what Ellen White was and what she was not.
Fairview Oklahoma
Craven lauds an Adventist father who, according to her, told his daughter, “The denomination you belong to doesn’t matter. What matters is if you love Jesus.” Some denominations deny even the divinity and virgin birth of Jesus Christ; in Craven’s view, however, these or a thousand other errors are quite acceptable, just so you love Jesus. Come now: What honest Christian, Adventist or otherwise, can subscribe to such unscriptural drivel?
Mead, Wash.
It’s too bad Craven remembered “Bible Ping-Pong” rather than “Jesus Loves Me” from her childhood. Her characterization of Adventism by way of selected anecdotes leaves a lot to be desired. For instance, she missed Adventist Bible teachers who assign their students to attend non-Adventist churches and to research their beliefs and practices; she missed my mother, who sent me to Baptist youth meetings when our Adventist church had none.
Her wall of separation crumbles on the final page, where she shows prominent Adventists writing for non-Adventist publishers, an Adventist bookstore being one of a non-Adventist publisher’s top academic customers, and Adventist parents being surprisingly open with their children who choose other denominations.
General Conference of
Seventh-day Adventists
Washington, D.C.
Adventism can be flawed. Heaven was flawed by a created being who won a third of the angels plus 100 percent success in Eden where he met total failure. I have two nephews who left the church, sons of an Adventist minister.
Norridge, Ill.
Keeping the Sabbath is not a man-made doctrine. There are many nominal Christians who “worship” on Sundays in a cold, formal way. The gospel is to force us from this, too. Still, finally, the Ten Commandments are not to be played with.
Moorhead, Minn.
If everybody ought to keep the Sabbath from sundown Friday to sundown Saturday, then why did God create the world in such a way that in the Land of the Midnight Sun and Midday Noon, for many months each year the solar orb is not seen to cross the horizon, making it absolutely impossible to see, no less observe, the time of the setting of the sun?
Pembroke, N.C.
Christians and the 1984 election
You are to be commended for a thoughtful analysis of the American political scene in your October 5 and 19 issues. I would point, out though, that the record of Congressman Don Bonker (D-Wash.), one evangelical quoted frequently in the final article, illustrates the credibility problems Democrats have when they try to appeal to Christian voters by saying they represent the cause of social justice. While Bonker tells your magazine that “one out of ten verses in the synoptic Gospels deals with the question of wealth and poverty,” he has not been overly concerned about the unborn children of the poor, since he voted against amendments that would have barred Medicaid coverage of abortion and barred the use of federal and District funds to pay for abortions in the District of Columbia.
Durham, N.C.
Beth Spring [Oct. 5] reveals the discomfort of unreconstituted church-state separatists when repeating the stock charges of the so-called moderate Republicans. Her historical analysis missed the real story: the political activation of the Religious Right against the encroachments and abuses of secularism. This is not so much, as she would have it, a response to Reagan or classic Republicanism. What Reagan has succeeded in doing, however, is precisely what the new style of leadership is about—he found a parade and stepped in front of it. The unassayed theme, though, is the parade itself. I find it incomprehensible that when a national leader finally does identify with a sizable portion of the conservative agenda, a leading conservative publication then, instead of applauding, seems at once embarrassed and appears to lack the confidence to speak clearly its conscience.
Presbyterian Church of the Cross
Omaha, Nebr.
Bless you, CT! Into my small town, where politically thoughtful evangelicals seem as scarce as hen’s teeth, and where single-issue conservatives are thick as bugs on a bumper, comes your magazine twice a month to revive my mind and my heart. Your thought-provoking articles and detailed news coverage are a welcome supplement to my reading diet. Special congratulations to Beth Spring and Rodney Clapp for their objective, comprehensive, thoughtful, and biblical articles on the Republican and Democratic parties.
Rutland, Vt.
Rodney Clapp’s “Insight” into “What the Democrats Believe” [Oct. 19] was neither insightful nor believable. Trotting out the same old tiresome liberal clichés hardly constitutes a “closer look” at the issues of this campaign. The editors have done the readers a great disservice by allowing ludicrous generalities. How is it that the same magazine that purports to reveal the deeper meaning behind the not-so-deep metaphysics of Robert Schuller cannot present a clear summary of something so easily authenticated as the Democratic and Republican positions or records?
New Ringgold, Pa.
I applaud Rodney Clapp’s article; he states the position of the Democrats well. Issues such as abortion, the nuclear arms race, and poverty must be dealt with. One cannot afford to base this election on a single issue; much is at stake. However, we must recognize that God can and will work through whoever gets elected.
Crawfordsville, Ind.
Was your article “What the Democrats Believe” actually written for an evangelical readership? I wonder. If this is where evangelicalism is headed, I want off the train. I’ll call myself something else.
Monmouth, Oreg.
I am not registered to vote. I have no regrets. I think I am well informed.
Hesston, Kansas
Love, not mud
A special thanks to Gil Beers and Harold Smith for the editorial “Mudslinging in the Sanctuary” [Oct. 19]. I heartily concur with their comments. At a recent meeting of Independent Baptist pastors in our state, the preaching schedule was devoted to this subject of friendship, fellowship, and acceptance. For too long we have shot at one another when we should be loving one another.
Westfair Baptist Church
Jacksonville, Ill.
I would suggest your editors reread the last two paragraphs on p. 144 of Bad News for Modern Man. Having read Franky [Schaeffer]’s book, it is quite clear that he is speaking of evangelicals as “we.” It would seem that Beers and Smith are upset because he “calls them out.” Whether Jesus used invectives when he chased out the moneychangers, I don’t know. The fact remains, however, that he did chase them out.
Amarillo, Tex.
Your editorial makes some valid points. We should certainly love others who also follow Christ, but I would like to make a distinction, as Jesus did, between lay people and those in leadership positions who claim to speak for the Founder of the Christian church. Christ clearly condemned (and Paul does, too) the false teachers and apostates who slip in and mislead the flock. People are beginning to wake up to the fact that a lot of what is being taught in some seminaries and “Christian” colleges is not Christian at all. Appeals to “love” to mask false teaching (on abortion, for example) have nothing to do with love at all.
The Moral Majority, Inc.
Lynchburg, Va.
I heartily endorse the editorial, and suggest CT practice what it preaches in the Eutychus and His Kin column: No more letters that simply call names or make accusations without support.
St. Louis, Mo.
Franky Schaeffer a “self-appointed” leader? Somehow I take that inherently derogatory description as CT’s own form of mudslinging. (Or is it loving confrontation?)
Hume, Ill.
Voting for Christians—or “infidels”
“When ‘Infidels’ Run for Office,” by Mark Noll [Oct. 5], provided a perspective that was provocative as well as informative regarding the problematic role of the Christian in the voting process. It was very helpful to focus upon an instance in American history where the election of an “infidel” proved to be a wise choice. Yet, the conclusions regarding the proper religious assessment of a candidate lacked a sense of biblical direction. The Bible says little or nothing about how to sort through political demogoguery, nor does it state how to evaluate a candidate’s platform; but it certainly speaks explicitly about the purpose of government: justice must be served. Whether the candidate is a believer or unbeliever makes no difference. The application of this biblical truth would have safeguarded against the religious prejudice that shrouded the understanding of the colonial “evangelicals” during the election of 1800.
Middletown, Ohio
I think a different lesson is to be learned. The election of 1800 was a key fork in the road in determining the relationship between church and state in the United States. Is not the statement “separation of church and state” at the vanguard of all the attempts to exclude religious thinking from the free market of ideas and the workings of government? This statement of Jefferson’s, not found in any of the documents on which our government is founded, is accorded the authority of the Constitution itself. The Christian leaders in 1800 rightly understood the election as a confrontation between the veiled humanism of the enlightenment and the Christian belief system. We are now reaping the fruit of that election 200 years later in the secularization of society and a government that is uncommonly uncomfortable with God.
Portland, Oreg.
You have done a great service by giving a perspective of history and of origins of the issues.
San Jose, Calif.
Judging Schuller
Some of the responses to your articles regarding Robert Schuller remind me of lines by Chang Tsu, a Chinese philosopher of the fourth century B.C.:
How shall I talk of the sea to the frog, if he has never left his pond?
How shall I talk of the frost to the bird of the summer land if it has never left the land of its birth?
How shall I talk of life with a sage if he’s the prisoner of his doctrine?
Let Schuller be judged by the fruit of his ministry in the conversion of the secular world rather than whether or not he is a “fellow-prisoner of doctrine.”
Myrtle Beach, S.C.
Watching Maranatha
When I read “A Team of Cult Watchers Challenges a Growing Campus Ministry” [Aug. 10], I thought that you had addressed an important issue in relation to Christians keeping a watchful, concerned, and caring eye on one another. When I read the responses [Oct. 5], I wondered if these people were writing about the same article I thought I had read. So I reread the article. Then I reread the letters. One writer referred to Mr. Frame’s “alarming lack of objectivity,” that he “casts doubt upon an impressive list of endorsements.” Yet it was pointed out that the organization used a picture and a statement of Billy Graham without knowledge or permission of Mr. Graham’s evangelistic association. With this in mind, how should I view Maranatha’s other endorsements?
Long Beach, Calif.
I was not going to write regarding your discussion of Maranatha until I read your readers’ responses. As a pastor and campus minister, we have been dealing with Maranatha’s groups for six years. The experience has been most disturbing. Thank you for your article. All I have seen in the Christian media has been praise for Maranatha. I had begun to think that those of us in Tennessee, Kentucky, and Alabama were dealing with isolated cases of fanaticism.
Hendersonville Chapel
Hendersonville, Tenn.
Withdrawing that IVP book
I read “InterVarsity Withdraws a Book Opposed by Prolifers” [Sept. 21] with sadness. Why withdraw a book? IVCF apparently lacks convictions and integrity, lacks forethought and afterthought, and so therefore withdrew the book without biblical reasons for doing so after publishing the book without biblical reasons for doing so (at least as far as the abortion chapter goes).
Tempe, Ariz.
Shame on you, James McLeish, president of IVP, and Jimmy Locklear, public relations director, for allowing the threat of financial withdrawal from your ministry to cause you to back down from what you first believed to be a perfectly moral decision to publish Dr. Jones’s book. Shame on you, Curt Young, and your Christian Action Council, and you, Joseph Scheidler, and your Pro-Life Action League for being afraid to allow opposing views to be distributed through the Christian community. And shame on you, Franky Schaeffer. Your father stood for intellectual integrity and honesty and never backed down from an honest opponent.
Third Presbyterian Church
Fort Wayne, Ind.
Playing Bible games
Your story about “Bible trivia” games [Oct. 5] reminds me of many hours of enjoyment, excitement, and profitable Bible learning that I and thousands of others have appreciated for years in the form of “Bible quiz” activities of many sorts. I thank God for these and for the creative entrepreneurs who have invested time and money to encourage Christians and others to have fun while learning more about the Bible. I, for one, am not offended that the secular Trivia Pursuit “craze” has sparked this new enthusiasm for Bible quiz games. Nor am I offended that some of the publishers may turn a handsome cash profit. Christian publishing houses have been doing that for years while providing the church with helpful published materials.
Winnipeg Bible College
Otterburne, Man., Canada
That article taught important lessons about the paucity of Christian creativity; the nature of Christian commerce; and the readiness of Christians to trivialize their faith for fun and profit. But then, if you can’t beat them, join them!
Richfield, Minn.